Material
- - -
1.
A plane-wave DFT calculation with PBE-GGA was carried out for a relaxed Cu3AgPt2 crystal.

The value obtained for the formation energy from the elements is -0.5 eV per formula unit. The density of states at the Fermi level comes out at 0.649 states/eV per atom. Its volume is 14.24 Å³ per atom.

The space group is P4/mmm (No. 123) and the conventional cell measures 2.787, 2.787 and 11.001 Å, with angles of 90.00, 90.00 and 90.00 degrees. Symmetry generates all atoms from Cu at (0.000, 0.000, 0.000), Cu at (0.000, 0.000, 0.325), Ag at (0.500, 0.500, 0.500) and Pt at (0.500, 0.500, 0.164).



2.
A plane-wave DFT calculation with PBE-GGA was carried out for a relaxed AlCoOs crystal.

The value obtained for the formation energy from the elements is -0.3 eV per formula unit. The density of states at the Fermi level comes out at 0.592 states/eV per atom. The value obtained for the energy relative to the lowest polymorph listed for this composition is 70.1 meV per atom. Its volume is 13.03 Å³ per atom.

The space group is P3m1 (No. 156) and the conventional cell measures 2.7080, 2.7080 and 6.1548 Å, with angles of 90.00, 90.00 and 120.00 degrees. Symmetry generates all atoms from Al at (0.0000, 0.0000, 0.0000), Co at (0.6667, 0.3333, 0.3163) and Os at (0.3333, 0.6667, 0.6410).

* * * * *

Density functional theory data (PBE) for a relaxed structure of HfSc5P6.

```
HfSc5P6
1.0
6.408 0.156 0.973
1.574 5.435 3.168
0.108 0.061 6.477
P Sc Hf
6 5 1
direct
0.751 0.083 0.331
0.249 0.248 0.000
0.249 0.917 0.669
0.751 0.414 0.669
0.751 0.752 0.000
0.249 0.586 0.331
0.000 0.666 0.667
0.000 0.334 0.333
0.500 0.833 0.335
0.500 0.167 0.665
0.500 0.500 0.000
0.000 0.000 0.000
```

Properties
size of the total moment	0.00	μB per formula unit
energy relative to the elements	-17.82	eV/f.u.
electronic total energy	-91.895	eV per cell
space group	C2/m

* * * * *

(1)
# ReWBr

ReWBr after structural relaxation (PBE, Alexandria).

```
ReWBr
1.0
-1.536 1.536 5.632
1.536 -1.536 5.632
1.536 1.536 -5.632
Re W Br
1 1 1
Direct
0.000 0.000 0.000
0.371 0.371 0.000
0.693 0.693 0.000
```

Values from the calculation:
For the total magnetic moment, the calculation gives 0.0 μB per cell. The uncorrected formation energy is 759 meV per atom. Its total energy is -24.8 eV per formula unit. For the theoretical density, the calculation gives 14.1 g cm⁻³.

---

(2)
# Cs2CeAl2Se6

Cs2CeAl2Se6 after structural relaxation (PBE, Alexandria).

```
Cs2CeAl2Se6
1.0
3.881 2.241 7.772
-3.881 2.241 7.772
0.000 -4.482 7.772
Cs Ce Al Se
2 1 2 6
Direct
0.220 0.220 0.220
0.780 0.780 0.780
0.000 0.000 0.000
0.406 0.406 0.406
0.594 0.594 0.594
0.242 0.242 0.755
0.242 0.755 0.242
0.245 0.758 0.758
0.755 0.242 0.242
0.758 0.245 0.758
0.758 0.758 0.245
```

Values from the calculation:
For the total magnetic moment, the calculation gives 0.1 μB per cell. The uncorrected formation energy is -1102 meV per atom. Its total energy is -48.2 eV per formula unit. For the theoretical density, the calculation gives 3.8 g cm⁻³.

---

(3)
# BeAl2Tc

BeAl2Tc after structural relaxation (PBE, Alexandria).

```
BeAl2Tc
1.0
4.408 -1.337 0.000
4.408 1.337 0.000
-0.722 0.000 4.595
Be Al Tc
1 2 1
Direct
0.000 0.000 0.000
0.249 0.249 0.752
0.751 0.751 0.248
0.500 0.500 0.500
```

Values from the calculation:
For the total magnetic moment, the calculation gives 0.0 μB per cell. Its total energy is -21.7 eV per formula unit. For the theoretical density, the calculation gives 4.9 g cm⁻³.

---

(4)
# CePmMnN3

CePmMnN3 after structural relaxation (PBE, Alexandria).

```
CePmMnN3
1.0
7.253 0.000 0.000
0.000 3.477 0.000
-0.752 0.000 7.441
Ce Pm Mn N
2 2 2 6
Direct
0.136 0.250 0.178
0.864 0.750 0.822
0.345 0.750 0.831
0.655 0.250 0.169
0.425 0.750 0.406
0.575 0.250 0.594
0.101 0.250 0.866
0.342 0.250 0.469
0.379 0.750 0.152
0.621 0.250 0.848
0.658 0.750 0.531
0.899 0.750 0.134
```

Values from the calculation:
- - -

Activity
Now search the notes earlier on for the word "electronic" and quote each line that has it.

Response
electronic total energy	-91.895	eV per cell